(Request)
Please reproduce all of the calculation results further below character by character.

(Contents)
┌──
C25H50BCl14N2O3 as an isolated structure in a non-equilibrium geometry, computed with wB97M-V/def2-TZVPD.

Output
* net charge: -1
* HOMO: -3.8 eV

Cartesian coordinates (Å):
H (-0.221, -10.459, -1.082)
C (0.323, 1.546, 1.821)
H (-3.483, -5.278, -2.274)
H (0.993, 0.237, -3.090)
H (2.782, -6.424, -7.171)
H (3.936, 2.482, 5.612)
O (1.275, 0.981, -0.349)
C (0.693, 2.157, -1.075)
H (-2.152, -6.161, -1.507)
H (-1.176, -2.376, 1.412)
Cl (2.303, 2.422, -4.178)
C (2.265, -6.042, -6.286)
H (5.221, 4.482, 7.585)
H (1.509, 5.263, -6.417)
H (2.861, 5.048, -5.293)
C (5.262, 3.786, 6.741)
C (-6.192, 3.694, 6.732)
H (1.207, -6.309, -6.368)
C (-1.895, 3.185, -0.836)
Cl (-3.552, 3.726, 7.481)
H (-0.551, 4.565, 3.075)
C (-0.920, 1.848, -1.084)
C (-0.528, -9.484, -1.473)
H (-1.416, -5.524, -3.752)
H (-1.788, -0.150, -3.831)
H (2.150, -4.060, -7.121)
Cl (-4.091, 5.641, 3.233)
O (1.797, 1.403, 3.883)
C (-0.425, -1.972, 0.577)
Cl (-2.059, -3.270, -3.820)
H (-1.552, -9.576, -1.849)
H (-1.974, -0.584, -2.007)
C (3.926, 3.096, 6.518)
C (-2.459, -5.186, -1.898)
C (1.623, 3.282, -5.582)
H (1.433, -8.847, -2.168)
C (2.711, 2.931, 2.015)
Cl (5.799, 4.692, 5.304)
Cl (-1.638, 4.784, 1.009)
C (0.233, -0.667, -2.913)
C (-1.287, -0.006, -2.757)
C (0.524, -3.299, 0.209)
H (1.962, 2.330, 4.277)
H (3.698, 2.445, 7.368)
C (-2.907, 4.190, -0.777)
H (0.751, 3.166, -0.445)
H (-0.958, -1.691, -0.428)
C (1.815, 4.786, -5.481)
C (1.871, 1.553, 2.419)
C (-1.444, 5.108, 2.750)
H (-4.600, 4.518, 5.538)
H (3.596, 3.008, 2.802)
H (-2.435, 4.739, 4.626)
C (-4.773, 3.653, 6.186)
H (-0.059, 2.628, 1.570)
O (-1.153, 0.875, -0.005)
H (-4.593, 2.747, 5.599)
H (0.545, -3.395, -0.980)
H (-2.195, 1.835, -2.767)
H (-0.498, -4.549, -2.593)
H (3.102, 2.900, 0.909)
H (0.597, -1.196, -1.931)
H (2.140, 2.899, -6.467)
Cl (-0.544, -8.358, -0.094)
N (-1.220, 1.486, -2.522)
Cl (2.583, 4.258, 6.384)
Cl (-2.475, -4.060, -0.519)
H (-1.257, 6.178, 2.878)
H (1.397, -1.047, 1.177)
H (0.565, 3.014, -5.664)
H (0.514, -9.822, -3.327)
H (-6.341, 4.545, 7.404)
B (0.165, 0.486, 0.531)
H (-0.077, -4.265, 0.572)
H (6.035, 3.041, 6.952)
C (2.456, -4.537, -6.185)
H (2.525, 0.654, 2.014)
H (1.972, 3.826, 2.209)
H (0.335, -1.352, -3.863)
H (-3.785, 4.916, -1.134)
C (-2.648, 4.649, 3.557)
Cl (0.823, 5.506, -4.188)
H (-0.425, 1.122, 2.649)
Cl (1.465, -3.818, -4.892)
H (-6.905, 3.784, 5.907)
C (0.432, -9.041, -2.565)
H (1.225, 2.458, -2.075)
C (-1.499, -4.743, -2.990)
H (-2.900, 3.604, 3.348)
H (3.502, -4.275, -5.997)
Cl (2.944, -6.901, -4.882)
H (1.599, -3.226, 0.669)
N (0.353, -0.849, 1.227)
Cl (-6.614, 2.208, 7.618)
Cl (-0.128, -7.568, -3.395)

Per-atom Löwdin charges, elementary charge units:
1. H 0.070
2. C -0.056
3. H 0.067
4. H 0.045
5. H 0.069
6. H 0.059
7. O -0.073
8. C -0.103
9. H 0.029
10. H 0.102
11. Cl 0.616
12. C -0.662
13. H 0.065
14. H 0.065
15. H 0.065
16. C -0.670
17. C -0.664
18. H 0.065
19. C -0.064
20. Cl 0.536
21. H 0.062
22. C -0.363
23. C -0.661
24. H -0.006
25. H 0.105
26. H 0.072
27. Cl 0.539
28. O -0.152
29. C -0.300
30. Cl 0.573
31. H 0.069
32. H 0.103
33. C -0.660
34. C -0.639
35. C -0.643
36. H 0.072
37. C -0.073
38. Cl 0.529
39. Cl 0.710
40. C -0.101
41. C -0.256
42. C -0.153
43. H 0.054
44. H 0.075
45. C -0.159
46. H 0.116
47. H 0.064
48. C -0.674
49. C -0.355
50. C -0.607
51. H 0.005
52. H 0.068
53. H 0.056
54. C -0.681
55. H 0.058
56. O 0.023
57. H 0.078
58. H 0.049
59. H 0.106
60. H 0.036
61. H 0.086
62. H 0.069
63. H 0.066
64. Cl 0.559
65. N -0.040
66. Cl 0.544
67. Cl 0.633
68. H 0.061
69. H 0.099
70. H 0.074
71. H 0.073
72. H 0.068
73. B -1.020
74. H 0.037
75. H 0.070
76. C -0.657
77. H 0.138
78. H 0.076
79. H 0.019
80. H 0.068
81. C -0.647
82. Cl 0.541
83. H 0.117
84. Cl 0.586
85. H 0.073
86. C -0.640
87. H 0.039
88. C -0.716
89. H 0.081
90. H 0.069
91. Cl 0.522
92. H 0.071
93. N 0.053
94. Cl 0.525
95. Cl 0.604

An isolated ion of composition C25H50BClN4O4P and charge +1 in a non-equilibrium geometry, computed with wB97M-V/def2-TZVPD.

Output
└──

(Solution)
C25H50BCl14N2O3 as an isolated structure in a non-equilibrium geometry, computed with wB97M-V/def2-TZVPD.

Output
* net charge: -1
* HOMO: -3.8 eV

Cartesian coordinates (Å):
H (-0.221, -10.459, -1.082)
C (0.323, 1.546, 1.821)
H (-3.483, -5.278, -2.274)
H (0.993, 0.237, -3.090)
H (2.782, -6.424, -7.171)
H (3.936, 2.482, 5.612)
O (1.275, 0.981, -0.349)
C (0.693, 2.157, -1.075)
H (-2.152, -6.161, -1.507)
H (-1.176, -2.376, 1.412)
Cl (2.303, 2.422, -4.178)
C (2.265, -6.042, -6.286)
H (5.221, 4.482, 7.585)
H (1.509, 5.263, -6.417)
H (2.861, 5.048, -5.293)
C (5.262, 3.786, 6.741)
C (-6.192, 3.694, 6.732)
H (1.207, -6.309, -6.368)
C (-1.895, 3.185, -0.836)
Cl (-3.552, 3.726, 7.481)
H (-0.551, 4.565, 3.075)
C (-0.920, 1.848, -1.084)
C (-0.528, -9.484, -1.473)
H (-1.416, -5.524, -3.752)
H (-1.788, -0.150, -3.831)
H (2.150, -4.060, -7.121)
Cl (-4.091, 5.641, 3.233)
O (1.797, 1.403, 3.883)
C (-0.425, -1.972, 0.577)
Cl (-2.059, -3.270, -3.820)
H (-1.552, -9.576, -1.849)
H (-1.974, -0.584, -2.007)
C (3.926, 3.096, 6.518)
C (-2.459, -5.186, -1.898)
C (1.623, 3.282, -5.582)
H (1.433, -8.847, -2.168)
C (2.711, 2.931, 2.015)
Cl (5.799, 4.692, 5.304)
Cl (-1.638, 4.784, 1.009)
C (0.233, -0.667, -2.913)
C (-1.287, -0.006, -2.757)
C (0.524, -3.299, 0.209)
H (1.962, 2.330, 4.277)
H (3.698, 2.445, 7.368)
C (-2.907, 4.190, -0.777)
H (0.751, 3.166, -0.445)
H (-0.958, -1.691, -0.428)
C (1.815, 4.786, -5.481)
C (1.871, 1.553, 2.419)
C (-1.444, 5.108, 2.750)
H (-4.600, 4.518, 5.538)
H (3.596, 3.008, 2.802)
H (-2.435, 4.739, 4.626)
C (-4.773, 3.653, 6.186)
H (-0.059, 2.628, 1.570)
O (-1.153, 0.875, -0.005)
H (-4.593, 2.747, 5.599)
H (0.545, -3.395, -0.980)
H (-2.195, 1.835, -2.767)
H (-0.498, -4.549, -2.593)
H (3.102, 2.900, 0.909)
H (0.597, -1.196, -1.931)
H (2.140, 2.899, -6.467)
Cl (-0.544, -8.358, -0.094)
N (-1.220, 1.486, -2.522)
Cl (2.583, 4.258, 6.384)
Cl (-2.475, -4.060, -0.519)
H (-1.257, 6.178, 2.878)
H (1.397, -1.047, 1.177)
H (0.565, 3.014, -5.664)
H (0.514, -9.822, -3.327)
H (-6.341, 4.545, 7.404)
B (0.165, 0.486, 0.531)
H (-0.077, -4.265, 0.572)
H (6.035, 3.041, 6.952)
C (2.456, -4.537, -6.185)
H (2.525, 0.654, 2.014)
H (1.972, 3.826, 2.209)
H (0.335, -1.352, -3.863)
H (-3.785, 4.916, -1.134)
C (-2.648, 4.649, 3.557)
Cl (0.823, 5.506, -4.188)
H (-0.425, 1.122, 2.649)
Cl (1.465, -3.818, -4.892)
H (-6.905, 3.784, 5.907)
C (0.432, -9.041, -2.565)
H (1.225, 2.458, -2.075)
C (-1.499, -4.743, -2.990)
H (-2.900, 3.604, 3.348)
H (3.502, -4.275, -5.997)
Cl (2.944, -6.901, -4.882)
H (1.599, -3.226, 0.669)
N (0.353, -0.849, 1.227)
Cl (-6.614, 2.208, 7.618)
Cl (-0.128, -7.568, -3.395)

Per-atom Löwdin charges, elementary charge units:
1. H 0.070
2. C -0.056
3. H 0.067
4. H 0.045
5. H 0.069
6. H 0.059
7. O -0.073
8. C -0.103
9. H 0.029
10. H 0.102
11. Cl 0.616
12. C -0.662
13. H 0.065
14. H 0.065
15. H 0.065
16. C -0.670
17. C -0.664
18. H 0.065
19. C -0.064
20. Cl 0.536
21. H 0.062
22. C -0.363
23. C -0.661
24. H -0.006
25. H 0.105
26. H 0.072
27. Cl 0.539
28. O -0.152
29. C -0.300
30. Cl 0.573
31. H 0.069
32. H 0.103
33. C -0.660
34. C -0.639
35. C -0.643
36. H 0.072
37. C -0.073
38. Cl 0.529
39. Cl 0.710
40. C -0.101
41. C -0.256
42. C -0.153
43. H 0.054
44. H 0.075
45. C -0.159
46. H 0.116
47. H 0.064
48. C -0.674
49. C -0.355
50. C -0.607
51. H 0.005
52. H 0.068
53. H 0.056
54. C -0.681
55. H 0.058
56. O 0.023
57. H 0.078
58. H 0.049
59. H 0.106
60. H 0.036
61. H 0.086
62. H 0.069
63. H 0.066
64. Cl 0.559
65. N -0.040
66. Cl 0.544
67. Cl 0.633
68. H 0.061
69. H 0.099
70. H 0.074
71. H 0.073
72. H 0.068
73. B -1.020
74. H 0.037
75. H 0.070
76. C -0.657
77. H 0.138
78. H 0.076
79. H 0.019
80. H 0.068
81. C -0.647
82. Cl 0.541
83. H 0.117
84. Cl 0.586
85. H 0.073
86. C -0.640
87. H 0.039
88. C -0.716
89. H 0.081
90. H 0.069
91. Cl 0.522
92. H 0.071
93. N 0.053
94. Cl 0.525
95. Cl 0.604

An isolated ion of composition C25H50BClN4O4P and charge +1 in a non-equilibrium geometry, computed with wB97M-V/def2-TZVPD.

Output